Advanced Excel Formulas and Functions (1 day)

Scheduled courses in Peterborough or £595, plus VAT, on-site.

The ability to understand and create complex formulas is critical to the building of effective Excel solutions. This one day course shows experienced Excel users how to rank and tabulate data using statistical functions, format data with text and math functions, and work with financial data using advanced formulas.

Next to the article, the page also holds crystal structures >
____________
Version A
Entry from Alexandria: a relaxed structure of Sn3HgRu (PBE). Values from VASP.

The density of states at the Fermi level comes out at 0.803 states/eV per atom.

```
&SYSTEM
  ibrav = 0, nat = 5, ntyp = 3
/
ATOMIC_SPECIES
Hg 200.59 Hg.upf
Sn 118.71 Sn.upf
Ru 101.07 Ru.upf
CELL_PARAMETERS angstrom
-4.6869 1.8571 1.0248
0.8836 -0.5501 5.0381
1.9283 4.7659 0.1822
ATOMIC_POSITIONS angstrom
Hg -0.9375 3.0365 3.1225
Sn 0.9641 2.3830 0.0911
Sn -2.3434 0.9286 0.5124
Sn 0.4418 -0.2750 2.5190
Ru 0.0000 0.0000 0.0000
```

Version B
Entry from Alexandria: a relaxed structure of Sn3HgRu (PBE). Values from VASP.

The density of states at the Fermi level comes out at 0.937 states/eV per atom.

```
&SYSTEM
  ibrav = 0, nat = 5, ntyp = 3
/
ATOMIC_SPECIES
Ru 101.07 Ru.upf
Sn 118.71 Sn.upf
Hg 200.59 Hg.upf
CELL_PARAMETERS angstrom
-3.7734 0.5558 3.8889
-0.1556 -5.4093 0.6222
3.9254 0.3199 3.7631
ATOMIC_POSITIONS angstrom
Ru -0.0018 -2.2668 4.1371
Sn -1.8867 0.2779 1.9445
Sn -0.0778 -2.7046 0.3111
Sn 1.9627 0.1600 1.8815
Hg 0.0000 0.0000 0.0000
```

Least stable: version B

Version A
Entry from Alexandria: a relaxed structure of TaHg2Ru (PBE). Values from VASP.

The density of states at the Fermi level comes out at 0.431 states/eV per atom.

```
&SYSTEM
  ibrav = 0, nat = 4, ntyp = 3
/
ATOMIC_SPECIES
Ta 180.95 Ta.upf
Ru 101.07 Ru.upf
Hg 200.59 Hg.upf
CELL_PARAMETERS angstrom
0.0000 3.2949 3.2949
3.2949 0.0000 3.2949
3.2949 3.2949 0.0000
ATOMIC_POSITIONS angstrom
Ta 3.2949 3.2949 3.2949
Ru 0.0000 0.0000 0.0000
Hg 1.6475 1.6475 1.6475
Hg 4.9424 4.9424 4.9424
```

Version B
Entry from Alexandria: a relaxed structure of TaHg2Ru (PBE). Values from VASP.

The density of states at the Fermi level comes out at 0.907 states/eV per atom.

```
&SYSTEM
  ibrav = 0, nat = 4, ntyp = 3
/
ATOMIC_SPECIES
Ru 101.07 Ru.upf
Ta 180.95 Ta.upf
Hg 200.59 Hg.upf
CELL_PARAMETERS angstrom
-1.5859 2.1377 1.3962
-1.5562 -2.9473 2.7448
4.3078 0.9409 3.4527
ATOMIC_POSITIONS angstrom
Ru -0.4941 -0.1696 2.9336
Ta 1.6598 0.3009 4.6600
Hg 2.1344 0.4662 1.7108
Hg 0.0194 0.0042 0.0156
```

Least stable: version A

Version A
Entry from Alexandria: a relaxed structure of TaHg2Ru (PBE). Values from VASP.

The density of states at the Fermi level comes out at 0.795 states/eV per atom.

```
&SYSTEM
  ibrav = 0, nat = 4, ntyp = 3
/
ATOMIC_SPECIES
Ta 180.95 Ta.upf
Hg 200.59 Hg.upf
Ru 101.07 Ru.upf
CELL_PARAMETERS angstrom
-5.4668 5.8767 -5.0548
-7.7248 4.0928 -3.6809
-6.4910 6.5841 -2.1189
ATOMIC_POSITIONS angstrom
Ta -14.9959 12.6120 -8.2699
Hg -0.1444 0.1214 -0.0796
Hg -4.7671 4.0092 -2.6289
Ru -9.6166 8.0879 -5.3034
```

Version B
Entry from Alexandria: a relaxed structure of TaHg2Ru (PBE). Values from VASP.

The density of states at the Fermi level comes out at 0.937 states/eV per atom.

```
&SYSTEM
  ibrav = 0, nat = 4, ntyp = 3
/
ATOMIC_SPECIES
Ru 101.07 Ru.upf
Ta 180.95 Ta.upf
Hg 200.59 Hg.upf
CELL_PARAMETERS angstrom
3.9930 0.0000 0.0000
0.0000 3.9930 0.0000
0.0000 0.0000 4.5908
____________

Text Functions

Locating and extracting data with FIND, SEARCH, and MID; Extracting specific data with LEFT and RIGHT; Removing extra spaces with TRIM and removing hidden characters with CLEAN; Using ampersands and CONCATENATE to combine data from different cells;  Adjusting the case within cells with PROPER, UPPER, and LOWER; Adjusting character content with REPLACE and SUBSTITUTE; Using other utility text functions: LEN, REPT, VALUE, TEXT

Statistical Functions

Finding the middle value with MEDIAN; Ranking data without sorting with RANK; Finding the largest and smallest values with LARGE and SMALL; Tabulating blank cells with COUNTBLANK; Using COUNT, COUNTA, and the status bar

(Next to the piece, the page also holds records of crystals)
+++
1.
Density functional theory data (PBE) for a relaxed structure of Ce2Th2Ge4Os.

POSCAR file:
```
Ce2Th2Ge4Os
1.0
0.361 -4.357 -4.855
5.449 3.568 0.519
-0.606 -2.864 5.841
Os Ge Th Ce
1 4 2 2
Cartesian
0.000 0.000 0.000
3.844 -1.696 2.324
3.969 1.996 1.819
1.360 -1.958 -0.819
0.874 -1.292 4.540
1.088 -3.435 2.083
4.116 -0.219 -0.578
1.548 0.225 2.033
3.294 0.479 4.327
```

Volume (Å³ per atom): 23.71
Space group: I4/mmm, No. 139
Energy of formation (eV/atom): -0.37
Magnetic moment (Bohr magnetons per cell): 1.66
Uncorrected energy (eV for the cell shown): -59.76

---

2.
Density functional theory data (PBE) for a relaxed structure of CeThGeOs.

POSCAR file:
```
CeThGeOs
1.0
-3.891 -1.182 -0.669
0.351 -2.879 3.043
0.201 4.254 4.003
Ce Ge Th Os
1 1 1 1
Cartesian
-0.494 1.038 1.040
-2.037 -1.469 1.749
-3.038 0.633 3.854
-1.458 3.063 3.067
```

Volume (Å³ per atom): 23.69
Space group: Amm2, No. 38
Energy of formation (eV/atom): -0.52
Magnetic moment (Bohr magnetons per cell): 0.23
Uncorrected energy (eV for the cell shown): -31.29

---

3.
Density functional theory data (PBE) for a relaxed structure of Ce2ThGe2Os.

POSCAR file:
```
Ce2ThGe2Os
1.0
4.082 0.000 0.000
0.000 4.082 0.000
-2.041 -2.041 10.391
Ce Th Os Ge
2 1 1 2
Cartesian
0.000 2.041 5.195
2.041 0.000 5.195
2.041 2.041 0.000
0.000 0.000 0.000
2.041 2.041 3.027
0.000 0.000 7.363
```

Volume (Å³ per atom): 28.86
Space group: I4/mmm, No. 139
Energy of formation (eV/atom): 0.60
Magnetic moment (Bohr magnetons per cell): 1.18
Uncorrected energy (eV for the cell shown): -36.18

---

4.
Density functional theory data (PBE) for a relaxed structure of Ce2ZnGeOs.

POSCAR file:
```
Ce2ZnGeOs
1.0
-3.101 0.148 2.885
4.378 -3.171 4.870
0.996 7.474 0.689
Ce Os Zn Ge
4 2 2 2
Cartesian
1.508 6.203 2.860
2.098 2.128 6.817
0.176 2.323 1.626
0.766 -1.753 5.583
4.113 4.000 5.774
-1.840 0.451 2.669
2.403 0.580 4.111
-0.130 3.870 4.332
-0.138 1.028 4.469
2.411 3.422 3.974
```

Volume (Å³ per atom): 22.34
Space group: P2_1/m, No. 11
Energy of formation (eV/atom): -0.32
Magnetic moment (Bohr magnetons per cell): 1.80
Uncorrected energy (eV for the cell shown): -61.18

---

5.
Density functional theory data (PBE) for a relaxed structure of Ce2Zn2Ge4Os.

POSCAR file:
```
Ce2Zn2Ge4Os
1.0
-4.435 -4.279 0.956
2.723 0.440 -5.593
5.576 -0.661 2.712
Ge Zn Ce Os
4 2 2 1
Cartesian
3.523 0.131 -3.262
4.775 -0.352 0.382
-0.160 -2.463 -0.272
4.024 -2.037 -1.653
5.896 -0.157 -2.046
2.402 -0.064 -0.834
2.645 -2.525 1.114
1.219 -1.975 -3.038
0.000 0.000 0.000
```

Volume (Å³ per atom): 19.12
Space group: I4/mmm, No. 139
Energy of formation (eV/atom): -0.42
Magnetic moment (Bohr magnetons per cell): 0.99
Uncorrected energy (eV for the cell shown): -47.86

---

6.
Density functional theory data (PBE) for a relaxed structure of CeGeP.

POSCAR file:
```
CeGeP
1.0
-2.806 -0.715 2.919
2.934 0.214 2.873
-0.697 4.181 -2.542
Ge Ce P
1 1 1
Cartesian
-0.540 3.492 3.233
-0.086 0.677 2.980
-0.324 2.012 0.181
```

Volume (Å³ per atom): 22.53
+++

Mathematical Functions

Working with ROUND, ROUNDUP, and ROUNDDOWN; Working with MROUND, CEILING, and FLOOR for specialized rounding; Using the INT and TRUNC functions to extract integer data; Finding the remainder with MOD and using MOD with conditional formatting; Practical uses for the random number functions RAND and RANDBETWEEN; Converting a value between measurement systems with CONVERT; Using the powerful AGGREGATE function to bypass errors and hidden data; Using the ROMAN and ARABIC functions to display different numeral systems

Date and Time Functions

Understanding Excel date/time capabilities in formulas; Using TODAY and NOW functions for dynamic date/time entry; Identifying the day of the week with WEEKDAY; Counting working days with NETWORKDAYS; Determining a completion date with WORKDAY; Tabulating date differences with DATEDIF; Calculating end-of-month and future/past dates with EDATE and EOMONTH; Converting text entries into dates and times with DATEVALUE and TIMEVALUE

Array Formulas and Functions

Extending formula capabilities with arrays; Counting unique entries in a range with an array formula; Determining frequency distributions with FREQUENCY; Flipping row/column orientation with TRANSPOSE; Building analysis via regression techniques with TREND and GROWTH; Using array formula techniques with the MATCH function for complex lookups

Reference Functions

_Misplaced materials data_
=====
No. 1
Compound: Nd2CBr3
Source: the Alexandria database
Functional: GGA-PBE
Structure: optimized geometry Values from VASP.

```
&SYSTEM
  ibrav = 0, nat = 12, ntyp = 3
/
ATOMIC_SPECIES
Nd 144.24 Nd.upf
C 12.01 C.upf
Br 79.90 Br.upf
ATOMIC_POSITIONS crystal
Nd 0.0681 0.0681 0.2076
Nd 0.3804 0.3804 0.0632
Nd 0.6196 0.6196 0.9368
Nd 0.9319 0.9319 0.7924
C 0.4779 0.4779 0.9395
C 0.5221 0.5221 0.0605
Br 0.0776 0.0776 0.7229
Br 0.2171 0.2171 0.1288
Br 0.3621 0.3621 0.5997
Br 0.6379 0.6379 0.4003
Br 0.7829 0.7829 0.8712
Br 0.9224 0.9224 0.2771
CELL_PARAMETERS angstrom
9.1188 -2.0127 0.0000
9.1188 2.0127 0.0000
-3.2464 0.0000 10.4672
```

Values from the calculation:
The calculation puts the uncorrected formation energy at -1337 meV/atom. As for the symmetry: C2/m, No. 12.


No. 2
Compound: Na2Hg3RuO6
Source: the Alexandria database
Functional: GGA-PBE
Structure: optimized geometry Values from VASP.

```
&SYSTEM
  ibrav = 0, nat = 12, ntyp = 4
/
ATOMIC_SPECIES
Na 22.99 Na.upf
Hg 200.59 Hg.upf
Ru 101.07 Ru.upf
O 16.00 O.upf
ATOMIC_POSITIONS crystal
Na 0.1696 0.8304 0.0000
Na 0.8304 0.1696 0.0000
Hg 0.0000 0.0000 0.5000
Hg 0.3439 0.6561 0.5000
Hg 0.6561 0.3439 0.5000
Ru 0.5000 0.5000 0.0000
O 0.1834 0.4591 0.7791
O 0.2533 0.2533 0.1656
O 0.4591 0.1834 0.7791
O 0.5409 0.8166 0.2209
O 0.7467 0.7467 0.8344
O 0.8166 0.5409 0.2209
CELL_PARAMETERS angstrom
2.9224 -5.1483 0.0000
2.9224 5.1483 0.0000
-1.3394 0.0000 5.7398
```

Values from the calculation:
The calculation puts the uncorrected formation energy at -754 meV/atom. As for the symmetry: C2/m, No. 12.


No. 3
Compound: Pm2Th2Cd
Source: the Alexandria database
Functional: GGA-PBE
Structure: optimized geometry Values from VASP.

```
&SYSTEM
  ibrav = 0, nat = 5, ntyp = 3
/
ATOMIC_SPECIES
Pm 145.00 Pm.upf
Th 232.04 Th.upf
Cd 112.41 Cd.upf
ATOMIC_POSITIONS crystal
Pm 0.0909 0.0909 0.0000
Pm 0.9091 0.9091 0.0000
Th 0.3015 0.3015 0.0000
Th 0.6985 0.6985 0.0000
Cd 0.5000 0.5000 0.0000
CELL_PARAMETERS angstrom
-1.8211 1.8211 11.6091
1.8211 -1.8211 11.6091
1.8211 1.8211 -11.6091
```

Values from the calculation:
As for the symmetry: I4/mmm, No. 139.


No. 4
Compound: EuAg4Sb2
Source: the Alexandria database
Functional: GGA-PBE
Structure: optimized geometry Values from VASP.

```
&SYSTEM
  ibrav = 0, nat = 7, ntyp = 3
/
ATOMIC_SPECIES
Eu 151.96 Eu.upf
Ag 107.87 Ag.upf
Sb 121.76 Sb.upf
ATOMIC_POSITIONS crystal
Eu 0.0000 0.0000 0.0000
Ag 0.1439 0.1439 0.1439
Ag 0.4335 0.4335 0.4335
Ag 0.5665 0.5665 0.5665
Ag 0.8561 0.8561 0.8561
Sb 0.2599 0.2599 0.2599
Sb 0.7401 0.7401 0.7401
CELL_PARAMETERS angstrom
2.3784 1.3732 8.2243
-2.3784 1.3732 8.2243
0.0000 -2.7464 8.2243
```

Values from the calculation:
The calculation puts the uncorrected formation energy at -306 meV/atom. As for the symmetry: R-3m, No. 166.


The following E values (in eV per cell) correspond, in order, to the records above: -63.6; -51.6; -25.9; -32.1.
=====

Getting data from remote cells with OFFSET; Returning references with INDIRECT; Using INDIRECT with data validation for two-tiered pick list scenarios; 11. Text Functions; Locating and extracting data with FIND, SEARCH, and MID; Extracting specific data with LEFT and RIGHT; Removing extra spaces with TRIM and removing hidden characters with CLEAN; Using ampersands and CONCATENATE to combine data from different cells;  Adjusting the case within cells with PROPER, UPPER, and LOWER; Adjusting character content with REPLACE and SUBSTITUTE; Using other utility text functions: LEN, REPT, VALUE, TEXT

Information Functions

Extracting information with the CELL and INFO functions; Using ISBLANK, ISODD, ISEVEN, ISTEXT, and ISNUMBER; Using error-checking functions ISERR, ISERROR, IFERROR, ISNA, and IFNA; Using the ISFORMULA function with conditional formatting